Adding an already existing database to Azure - azure

I have created an MVC 5 web application. I have deployed it to azure but I can't seem to add the database that I am using. I know you can create a database on azure and link it to your website but is there a way to add an existing database?

There are several ways to migrate an existing SQL Server database to the Azure environment. See this Migration guide from Microsoft.
I have used the "Deploy Database to Microsoft Azure Database wizard" before and it worked very well and easy. Have a look at this guide.


Migrating SAP Sybase ASE to AZURE

Im new to the cloud universe of Microsoft and confused with their Migration Services, so forgive me if this question seems like there was no effort put into finding an answer myself.
Im evaluating to migratre our Sybase ASE 16 environment to the Cloud, preferably to AZURE, because of Sybase and Microsoft both rely on T-SQL for procedural programming. This being said I was looking through the docs and could not find any out of the box cloud migrating solution for Sybase.
I understand Microsofts definitions of offline and online migration but neither offer a service for Sybase products. I then stumbled up on SSMA ( Micrsoft SQL Server Migration Assistant for SAP Sybase ASE). From my understanding this is a tool to migrate a Sybase Database to a Microsoft SQL Server Database and has nothing to with AZURE.
But I could have an AZURE DB sitting in the cloud and just use it as the destination for my migration?
Is this best practice for SAP Sybase ASE migrations to AZURE?
Azure offers a migration tool to migrate to the cloud. If you need to migrate a Sybase Database you will need to use Microsoft SQL Server Migration Assistant for SAP.
In order to migrate your Sybase Database you need to download the SSMA Client and the extension pack for your Microsoft SQL Server.
Inside the SSMA you first have to convert selected database schemas, then synchronize them in the bottom database explorer with your destination database and then you are ready to hit the migration button.
Keep in mind that Microsoft SQL Server is case insensitive by default but you can change the case sensivity on a database level for sysdb in Microsoft SQL Server Manager.
Also it is important to point out that this tool only migrates DDL but not users and permissions.

How To connect Ionic 3 (Angular 5) app to Azure SQL database?

I have an MS Access frontend working with an Azure SQL database as the backend. This all works fine.
The next step is to give some functionality to remote users on mobiles and tablets via an Ionic App.
What is the best way to make an Ionic app interact (READ/WRITE) data with an Azure SQL database?
I am just looking for an initial overview to get a starting position. I would like to keep it within MS Azure if possible.
Is an Azure App the way to go to work as the interface between the two?
There is a plugin for Ionic which allows connection to 'Easy Tables' in the Azure App Service. We found that in order to be able to connect an Access FE to the same tables that we had to make a new SQL db with the usual setup before adding the Easy Tables. If you make the Easy tables first, Azure doesn't show you the SQL database that these relate to and how to connect to it using the standard SQL ODBC connection string.
You can consider having an API which can speak to Azure DB and have NativeScript app to call the API using REST if you are considering real-time option. You can create an Azure Mobile that uses NativeScript as explained here.
To create a REST API with Azure SQL Database please consider this article.

Azure Import Data Tier Application does not have Standard DB option

I created the backup of my live Azure DB using Export option in Azure Portal. I am trying to restore this DB on my staging Azure DB using "Import Data Tier Application". The options listed under Azure DB Editions are Web and Business as shown in screenshot. However I need to create a Standard DB.
Is there a way I can create Standard Azure DB using "Import Data Tier Application"?
This problem was addressed in an updated version of SSMS which you can find in the link below. The SSMS is also in a new stand alone installer now:
I couldn't find such option in my ssms right now. You can choose web or business and import. after importing, change the service tier from the portal to 'standard'.

How to immigrate from current federation system for Web Microsoft Azure databases to the new Elastic scale out in the Basic databases

### Here the page breaks off for records of molecules
=====
Entry from the OMol25 dataset: a molecular structure, C19H28FeIO2 in a non-equilibrium geometry (ωB97M-V/def2-TZVPD).

M, Da: 471.18
Electronic energy, hartree: -2452.512018

Geometry as ORCA input:
```
! wB97M-V def2-TZVPD RIJCOSX def2/J DEFGRID3
* xyz 0 6
O -0.45 -0.46 -0.63
C -0.96 0.69 -1.50
C -0.44 0.14 -2.79
H -0.52 1.63 -1.18
H -2.05 0.72 -1.44
C -0.02 -1.07 -1.95
H 0.39 0.71 -3.18
H -1.23 -0.07 -3.53
C 1.46 -1.33 -2.03
H 2.02 -0.39 -1.98
H 1.68 -1.82 -2.99
H 1.79 -2.02 -1.25
C -0.87 -2.28 -2.29
H -1.94 -2.03 -2.25
H -0.67 -3.12 -1.63
H -0.62 -2.60 -3.32
Fe -0.54 -0.74 1.24
C -2.28 -1.02 2.76
C -2.07 0.37 3.02
C -2.41 1.09 1.84
H -1.80 0.80 3.97
C -2.84 0.17 0.85
C -2.76 -1.16 1.40
H -3.15 -2.06 0.93
H -2.23 -1.81 3.50
H -2.42 2.18 1.75
H -3.35 0.43 -0.08
C 0.42 -2.78 3.22
C -0.45 -3.19 2.17
C 0.15 -2.83 0.92
H -1.36 -3.77 2.25
C 1.35 -2.07 1.22
C 1.53 -2.11 2.65
H 2.42 -1.80 3.18
H 0.29 -3.00 4.27
H -0.10 -3.27 -0.04
H 2.08 -1.70 0.52
O 2.27 2.17 -1.79
C 2.08 1.95 -0.38
C 1.10 3.00 0.18
H 3.05 2.05 0.16
H 1.74 0.91 -0.24
C 1.10 4.11 -0.89
H 1.42 3.37 1.16
H 0.11 2.55 0.30
C 1.98 3.57 -2.04
H 1.56 5.03 -0.49
H 0.08 4.31 -1.24
H 2.91 4.16 -2.06
H 1.52 3.64 -3.04
I 1.03 0.73 2.76
*
```



Entry from the OMol25 dataset: 2 unconnected molecules or ions with the total composition C6H7FN2 in a non-equilibrium geometry (ωB97M-V/def2-TZVPD).

M, Da: 126.13
Electronic energy, hartree: -441.938898

Geometry as ORCA input:
```
! wB97M-V def2-TZVPD RIJCOSX def2/J DEFGRID3
* xyz 0 1
C 1.58 -1.39 -0.33
C 2.59 -0.71 -2.07
C 0.64 -0.88 -1.10
C -1.10 1.37 0.60
C -1.08 2.59 0.12
C -1.88 0.94 1.81
N 2.73 -1.27 -0.87
N 1.24 -0.40 -2.21
F -1.63 3.72 0.40
H 1.53 -1.84 0.70
H 3.53 -0.46 -2.54
H -0.38 0.61 0.17
H -2.57 1.53 2.32
H -2.49 0.19 1.19
H -1.35 0.31 2.57
H 0.69 0.15 -2.84
*
```



Entry from the OMol25 dataset: 2 unconnected molecules or ions with the total composition C4H9N2O2 in a non-equilibrium geometry (ωB97M-V/def2-TZVPD).

M, Da: 117.13
Electronic energy, hartree: -417.423925

Geometry as ORCA input:
```
! wB97M-V def2-TZVPD RIJCOSX def2/J DEFGRID3
* xyz 1 1
C -2.52 -1.72 -0.76
C -0.51 1.18 -0.95
C 0.59 -0.94 -0.95
C 0.71 0.53 1.08
N 0.54 0.01 2.19
N -0.08 0.12 0.01
O -3.50 -2.14 -1.14
O 1.33 0.22 3.18
H 2.09 0.90 2.90
H -0.77 0.78 -1.92
H -1.30 1.85 -0.48
H 0.47 1.80 -0.96
H 0.89 -1.89 -0.48
H -0.19 -1.08 -1.58
H 1.56 -0.49 -1.27
H 1.58 1.28 0.75
H -0.89 -0.44 0.38
*
```



Entry from the OMol25 dataset: a molecular structure, C20H25Br2N6OSY (ωB97M-V/def2-TZVPD).

M, Da: 646.24
Electronic energy, hartree: -6765.148461

Geometry as ORCA input:
```
! wB97M-V def2-TZVPD RIJCOSX def2/J DEFGRID3
* xyz 2 1
Y -0.10 -0.13 -1.18
Br 0.01 -3.71 2.52
C 1.47 -2.63 2.01
C 2.69 -2.75 2.71
C 3.77 -1.99 2.36
Br 5.38 -2.19 3.30
C 3.67 -1.06 1.29
C 4.72 -0.22 0.86
C 4.52 0.67 -0.16
C 3.25 0.73 -0.76
N 2.24 -0.04 -0.40
C 2.44 -0.95 0.62
C 1.32 -1.77 0.95
O 0.20 -1.66 0.24
H 2.77 -3.45 3.53
H 5.69 -0.28 1.35
H 5.31 1.32 -0.51
H 3.07 1.44 -1.57
N -4.23 -0.54 2.54
=====

we discover that the Microsoft Sql Azure Web databases are going to retired in the September 2015.
our application (PHP application) is working on federation mechanism.
how to convert our federation to the new elastic scale out?
is there is a new Sql federation command to create new federations and control them?
is there is an easy way to move data smoothly from the federation mechanism to the new scale out (Web to Basic) databases?
there's no SQL command for doing the migration, the migration steps and a migration utility is available at this link. You will have to do some code changes on your app as well.
The new Elastic Scale features in Azure SQL DB are provided through client libraries that currently are available only with ADO.Net. A complete summary of capabilities can be found at this link. Included are tools that allow migration from federations "in-place". However direct PHP api support is not currently available. I would like to understand your scenario better so please email me directly -- stuarto (at) Microsoft (dot) com.

How to quickly get a MVC 4 w/LocalDb into Azure Web Site/Azure SQL DB ?

This should be simple..
I have done this.
Create default MVC 4 template and publish site to Azure web site. No problem.
Create a Contact model
Create a view/controller and for the model. Now basic CRUD works on the site with the localDB
Enable migrations, add migration, create test data in seed and update migration. Everything works locally. great!
Now how do I get that database into SQL Azure? I thought it was..
Publish and set ContactContext to SQL Azure string. Test connection. Works. Check 'Use this connection at runtime' .( I assume that means when it is copied it will use that connection).. So now I publish.. then goto /Contacts ... it should automatically create the new DB in Azure... but instead I get
Invalid object name 'dbo.Contacts'.
Where did I go wrong ? Is there another way.. Should I just make a script with schema and data and run that on my SQL Azure table instead? I could do that but it seems the 'publish' way would be easier..
When publishing, check your publish settings and see if it executes the code-first migrations.
This fixed it form me ;)
